Job.
The reader should write out only the lines further down with the word "degrees" in them.

Entries.
********
# 1
First-principles (PBE) data for a relaxed structure of AcHf2As4Pd, as listed in Alexandria.

Cell lengths 7.0217, 7.0217, 13.6495 Å; angles 90.00, 90.00, 147.11 degrees
With the nearest neighbours (Å) after each atom.
Fractional positions:
Ac1 0.1268 0.8732 0.7500  6 As 3.05-3.18
Ac2 0.8732 0.1268 0.2500  6 As 3.05-3.18
Hf1 0.3745 0.6255 0.5673  6 As 2.72-2.77
Hf2 0.3745 0.6255 0.9327  6 As 2.72-2.77
Hf3 0.6255 0.3745 0.0673  6 As 2.72-2.77
Hf4 0.6255 0.3745 0.4327  6 As 2.72-2.77
As1 0.0000 0.0000 0.0000  4 Hf 2.77
As2 0.0000 0.0000 0.5000  4 Hf 2.77
As3 0.2641 0.7359 0.1035  1 Pd 2.52, 3 Hf 2.77
As4 0.2641 0.7359 0.3965  1 Pd 2.52, 3 Hf 2.77
As5 0.4548 0.5452 0.7500  2 Pd 2.44, 2 Hf 2.72
As6 0.5452 0.4548 0.2500  2 Pd 2.44, 2 Hf 2.72
As7 0.7359 0.2641 0.6035  1 Pd 2.52, 3 Hf 2.77
As8 0.7359 0.2641 0.8965  1 Pd 2.52, 3 Hf 2.77
Pd1 0.1508 0.8492 0.2500  4 As 2.44-2.52
Pd2 0.8492 0.1508 0.7500  4 As 2.44-2.52

VASP energy = -6.90 eV per atom
Density of states at the Fermi level = 5.0 states/eV per cell
Formation energy from the elements = -0.9251 eV/atom
Magnetization = 0.00 Bohr magnetons per cell

# 2
First-principles (PBE) data for a relaxed structure of Ac2HfAs3Rh12, as listed in Alexandria.

Cell lengths 7.6371, 7.6371, 7.6371 Å; angles 66.21, 66.21, 66.21 degrees
With the nearest neighbours (Å) after each atom.
Fractional positions:
Ac1 0.1072 0.1072 0.1072  6 Rh 2.86-2.92
Ac2 0.8928 0.8928 0.8928  6 Rh 2.86-2.92
Hf1 0.5000 0.5000 0.5000  6 Rh 2.55
As1 0.0000 0.5000 0.5000  6 Rh 2.37-2.39
As2 0.5000 0.0000 0.5000  6 Rh 2.37-2.39
As3 0.5000 0.5000 0.0000  6 Rh 2.37-2.39
Rh1 0.1228 0.6383 0.6383  1 As 2.37, 1 Hf 2.55
Rh2 0.1458 0.1458 0.6007  2 As 2.39
Rh3 0.1458 0.6007 0.1458  2 As 2.39
Rh4 0.3617 0.3617 0.8772  1 As 2.37, 1 Hf 2.55
Rh5 0.3617 0.8772 0.3617  1 As 2.37, 1 Hf 2.55
Rh6 0.3993 0.8542 0.8542  2 As 2.39
Rh7 0.6007 0.1458 0.1458  2 As 2.39
Rh8 0.6383 0.1228 0.6383  1 As 2.37, 1 Hf 2.55
Rh9 0.6383 0.6383 0.1228  1 As 2.37, 1 Hf 2.55
Rh10 0.8542 0.3993 0.8542  2 As 2.39
Rh11 0.8542 0.8542 0.3993  2 As 2.39
Rh12 0.8772 0.3617 0.3617  1 As 2.37, 1 Hf 2.55

VASP energy = -6.80 eV per atom
Density of states at the Fermi level = 10.2 states/eV per cell
Formation energy from the elements = -0.1139 eV/atom
Magnetization = 0.00 Bohr magnetons per cell

# 3
First-principles (PBE) data for a relaxed structure of AcHfAsS2, as listed in Alexandria.

Cell lengths 8.5324, 8.5324, 7.5382 Å; angles 90.00, 90.00, 152.38 degrees
With the nearest neighbours (Å) after each atom.
Fractional positions:
Ac1 0.2002 0.7998 0.7500  6 S 2.95-3.01, 1 As 3.27
Ac2 0.7998 0.2002 0.2500  6 S 2.95-3.01, 1 As 3.27
Hf1 0.5000 0.5000 0.0000  2 S 2.54, 4 As 2.78
Hf2 0.5000 0.5000 0.5000  2 S 2.54, 4 As 2.78
As1 0.0030 0.9970 0.7500  4 Hf 2.78
As2 0.9970 0.0030 0.2500  4 Hf 2.78
S1 0.3469 0.6531 0.5136  1 Hf 2.54
S2 0.3469 0.6531 0.9864  1 Hf 2.54
S3 0.6531 0.3469 0.0136  1 Hf 2.54
S4 0.6531 0.3469 0.4864  1 Hf 2.54

Formation energy without anion corrections = -1.572 eV per atom
VASP energy = -6.97 eV per atom
Density of states at the Fermi level = 0.1 states/eV per cell
Magnetization = 0.00 Bohr magnetons per cell

# 4
First-principles (PBE) data for a relaxed structure of Ac3HgAs, as listed in Alexandria.

Cell lengths 5.9591, 5.9591, 5.9591 Å; angles 90.00, 90.00, 90.00 degrees
With the nearest neighbours (Å) after each atom.
Fractional positions:
Ac1 0.0000 0.0000 0.5000  2 As 2.98
Ac2 0.0000 0.5000 0.0000  2 As 2.98
Ac3 0.5000 0.0000 0.0000  2 As 2.98
Hg1 0.5000 0.5000 0.5000  12 Ac 4.21
As1 0.0000 0.0000 0.0000  6 Ac 2.98

VASP energy = -3.82 eV per atom
Density of states at the Fermi level = 7.8 states/eV per cell
Formation energy from the elements = -0.3653 eV/atom
Magnetization = 0.00 Bohr magnetons per cell

# 5
First-principles (PBE) data for a relaxed structure of AcHg2As, as listed in Alexandria.

Cell lengths 6.1282, 6.1282, 6.1282 Å; angles 46.96, 46.96, 46.96 degrees
With the nearest neighbours (Å) after each atom.
********

Outcome.
Cell lengths 7.0217, 7.0217, 13.6495 Å; angles 90.00, 90.00, 147.11 degrees
Cell lengths 7.6371, 7.6371, 7.6371 Å; angles 66.21, 66.21, 66.21 degrees
Cell lengths 8.5324, 8.5324, 7.5382 Å; angles 90.00, 90.00, 152.38 degrees
Cell lengths 5.9591, 5.9591, 5.9591 Å; angles 90.00, 90.00, 90.00 degrees
Cell lengths 6.1282, 6.1282, 6.1282 Å; angles 46.96, 46.96, 46.96 degrees